Request:
Say how many lines of the contents underneath hold the word "atom", as a bare number, please.

Listing:
........
(1)
! Ba2Zn2Cl | Alexandria | GGA-PBE | optimized geometry; values from VASP
&SYSTEM
  ibrav = 0, nat = 10, ntyp = 3
/
ATOMIC_SPECIES
Ba 137.33 Ba.upf
Zn 65.41 Zn.upf
Cl 35.45 Cl.upf
CELL_PARAMETERS angstrom
4.032 0.000 0.000
0.000 4.032 0.000
0.000 0.000 19.319
ATOMIC_POSITIONS crystal
Ba 0.000 0.000 0.109
Ba 0.000 0.000 0.891
Ba 0.500 0.500 0.391
Ba 0.500 0.500 0.609
Zn 0.000 0.500 0.250
Zn 0.000 0.500 0.750
Zn 0.500 0.000 0.250
Zn 0.500 0.000 0.750
Cl 0.000 0.000 0.500
Cl 0.500 0.500 0.000
! crystal system = tetragonal

(2)
! Ba2Zn2Cl | Alexandria | GGA-PBE | optimized geometry; values from VASP
&SYSTEM
  ibrav = 0, nat = 15, ntyp = 3
/
ATOMIC_SPECIES
Ba 137.33 Ba.upf
Zn 65.41 Zn.upf
Cl 35.45 Cl.upf
CELL_PARAMETERS angstrom
4.611 0.000 0.000
-2.306 3.993 0.000
0.000 0.000 26.322
ATOMIC_POSITIONS crystal
Ba 0.000 0.000 0.084
Ba 0.000 0.000 0.916
Ba 0.333 0.667 0.583
Ba 0.333 0.667 0.751
Ba 0.667 0.333 0.249
Ba 0.667 0.333 0.417
Zn 0.000 0.000 0.333
Zn 0.000 0.000 0.667
Zn 0.333 0.667 0.000
Zn 0.333 0.667 0.334
Zn 0.667 0.333 0.000
Zn 0.667 0.333 0.666
Cl 0.000 0.000 0.500
Cl 0.333 0.667 0.167
Cl 0.667 0.333 0.833
! crystal system = trigonal

(3)
! Ba2Zn2Cl | Alexandria | GGA-PBE | optimized geometry; values from VASP
&SYSTEM
  ibrav = 0, nat = 10, ntyp = 3
/
ATOMIC_SPECIES
Ba 137.33 Ba.upf
Zn 65.41 Zn.upf
Cl 35.45 Cl.upf
CELL_PARAMETERS angstrom
8.909 0.000 0.000
0.000 8.909 0.000
0.000 0.000 4.704
ATOMIC_POSITIONS crystal
Ba 0.198 0.302 0.000
Ba 0.302 0.802 0.000
Ba 0.698 0.198 0.000
Ba 0.802 0.698 0.000
Zn 0.096 0.596 0.500
Zn 0.404 0.096 0.500
Zn 0.596 0.904 0.500
Zn 0.904 0.404 0.500
Cl 0.000 0.000 0.000
Cl 0.500 0.500 0.000
! crystal system = tetragonal

Energies relative to the most stable structure, in eV/atom: (1) 0.271; (2) 0.000; (3) 0.199.

(1)
! BaZnCl3 | Alexandria | GGA-PBE | optimized geometry; values from VASP
&SYSTEM
  ibrav = 0, nat = 5, ntyp = 3
/
ATOMIC_SPECIES
Ba 137.33 Ba.upf
Zn 65.41 Zn.upf
Cl 35.45 Cl.upf
CELL_PARAMETERS angstrom
6.032 0.000 0.000
0.000 6.032 0.000
0.000 0.000 6.032
ATOMIC_POSITIONS crystal
Ba 0.000 0.000 0.000
Zn 0.500 0.500 0.500
Cl 0.000 0.000 0.500
Cl 0.000 0.500 0.000
Cl 0.500 0.000 0.000
! crystal system = cubic

(2)
! BaZnCl3 | Alexandria | GGA-PBE | optimized geometry; values from VASP
&SYSTEM
  ibrav = 0, nat = 5, ntyp = 3
/
ATOMIC_SPECIES
Ba 137.33 Ba.upf
Zn 65.41 Zn.upf
Cl 35.45 Cl.upf
CELL_PARAMETERS angstrom
5.135 0.000 0.000
0.000 5.135 0.000
0.000 0.000 5.135
ATOMIC_POSITIONS crystal
Ba 0.000 0.000 0.000
Zn 0.500 0.500 0.500
Cl 0.000 0.500 0.500
Cl 0.500 0.000 0.500
Cl 0.500 0.500 0.000
! crystal system = cubic

Energies relative to the most stable structure, in eV/atom: (1) 0.272; (2) 0.000.

(1)
! Ba2ZnCl | Alexandria | GGA-PBE | optimized geometry; values from VASP
&SYSTEM
  ibrav = 0, nat = 16, ntyp = 3
/
ATOMIC_SPECIES
Ba 137.33 Ba.upf
Zn 65.41 Zn.upf
Cl 35.45 Cl.upf
CELL_PARAMETERS angstrom
8.176 0.000 0.000
0.000 8.176 0.000
0.000 0.000 8.176
ATOMIC_POSITIONS crystal
Ba 0.000 0.000 0.000
Ba 0.000 0.500 0.500
Ba 0.250 0.250 0.250
Ba 0.250 0.750 0.750
Ba 0.500 0.000 0.500
Ba 0.500 0.500 0.000
Ba 0.750 0.250 0.750
Ba 0.750 0.750 0.250
Zn 0.250 0.250 0.750
Zn 0.250 0.750 0.250
Zn 0.750 0.250 0.250
Zn 0.750 0.750 0.750
Cl 0.000 0.000 0.500
Cl 0.000 0.500 0.000
Cl 0.500 0.000 0.000
Cl 0.500 0.500 0.500
! crystal system = cubic

(2)
! Ba2ZnCl | Alexandria | GGA-PBE | optimized geometry; values from VASP
&SYSTEM
  ibrav = 0, nat = 4, ntyp = 3
/
ATOMIC_SPECIES
Ba 137.33 Ba.upf
Zn 65.41 Zn.upf
Cl 35.45 Cl.upf
CELL_PARAMETERS angstrom
4.198 0.000 0.000
0.000 4.104 0.000
-0.027 0.000 8.975
ATOMIC_POSITIONS crystal
Ba 0.001 0.000 0.224
Ba 0.999 0.000 0.776
Zn 0.500 0.500 0.000
Cl 0.000 0.500 0.500
! crystal system = monoclinic

Energies relative to the most stable structure, in eV/atom: (1) 0.662; (2) 0.000.

(1)
! Ba2ZnCl | Alexandria | GGA-PBE | optimized geometry; values from VASP
&SYSTEM
  ibrav = 0, nat = 8, ntyp = 3
/
ATOMIC_SPECIES
Ba 137.33 Ba.upf
Zn 65.41 Zn.upf
........

Solution:
3